Category Archives: View

Sending Horizon View logs via Syslog

Been experimenting with the vCenter Log Insight beta and have all the devices capable of sending syslog sending it to the Log Insight appliance. Pretty cool stuff. However, I deal a lot with Horizon View connection servers and their various logs, and given the ability of Log Insight to ferret out and find details in logs, I thought it would be great to pipe the View logs in to Log Insight for digestion.

Turns out this is pretty simple using Datagram SyslogAgent which not only can send Windows event logs, it can also follow any text log file and pipe it to a remote Syslog server. The great thing is the agent is free and a breeze to install.

-- The page is interrupted by data records --
<<<
1.
Cs5Hg19: simulated powder diffraction line list (Cu Kα X-rays), based on DFT lattice parameters and positions (PBE).
Lines closer than 0.1° are merged.

Most intense lines, 5 to 70 degrees two-theta, by angle:
d [Å], I_rel, hkl
5.458, 27, 0 0 2
3.105, 100, 3 1 2
3.007, 73, 1 2 3
2.670, 96, 2 4 0
2.212, 31, 3 1 4
2.150, 21, 5 1 2
1.996, 24, 5 0 3
1.888, 26, 6 2 0
1.639, 19, 3 1 6
1.612, 20, 5 5 2

```
data_Cs5Hg19
_space_group_name_H-M_alt 'I 4/m'
_space_group_IT_number 87
_space_group_name_Hall '-I 4'
_cell_length_a 11.9389
_cell_length_b 11.9389
_cell_length_c 10.9151
_cell_angle_alpha 90.00
_cell_angle_beta 90.00
_cell_angle_gamma 90.00
loop_
_atom_site_label
_atom_site_fract_x
_atom_site_fract_y
_atom_site_fract_z
_atom_site_occupancy
Cs1 0.0000 0.0000 0.0000 1
Cs2 0.1191 0.6744 0.5000 1
Hg1 0.0000 0.0000 0.5000 1
Hg2 0.0000 0.5000 0.2500 1
Hg3 0.0790 0.1723 0.2828 1
Hg4 0.1142 0.7040 0.1384 1
```

=====

2.
Cs3Hg20: simulated powder diffraction line list (Cu Kα X-rays), based on DFT lattice parameters and positions (PBE).
Lines closer than 0.1° are merged.

Most intense lines, 5 to 70 degrees two-theta, by angle:
d [Å], I_rel, hkl
7.833, 33, 1 1 0
3.198, 41, 2 2 2
3.072, 57, 3 2 0
2.961, 49, 3 2 1
2.769, 100, 4 0 0
2.417, 84, 4 2 1
2.362, 40, 3 3 2
2.261, 61, 4 2 2
1.797, 35, 5 3 2
1.670, 33, 6 2 2

```
data_Cs3Hg20
_space_group_name_H-M_alt 'P m -3 n'
_space_group_IT_number 223
_space_group_name_Hall '-P 4n 2 3'
_cell_length_a 11.0773
_cell_length_b 11.0773
_cell_length_c 11.0773
_cell_angle_alpha 90.00
_cell_angle_beta 90.00
_cell_angle_gamma 90.00
loop_
_atom_site_label
_atom_site_fract_x
_atom_site_fract_y
_atom_site_fract_z
_atom_site_occupancy
Cs1 0.0000 0.2500 0.5000 1
Hg1 0.0000 0.0000 0.0000 1
Hg2 0.0000 0.2564 0.1349 1
Hg3 0.0000 0.5000 0.2500 1
Hg4 0.2500 0.2500 0.2500 1
```

=====

3.
Cs2Hg3I8: simulated powder diffraction line list (Cu Kα X-rays), based on DFT lattice parameters and positions (PBE).
Lines closer than 0.1° are merged.

Most intense lines, 5 to 70 degrees two-theta, by angle:
d [Å], I_rel, hkl
7.415, 23, 0 0 1
6.748, 29, 1 1 0
3.704, 59, 0 0 2
3.615, 100, 1 5 -1
3.542, 27, 2 0 0
3.509, 29, 2 2 -1
2.898, 30, 1 5 -2
2.251, 35, 1 5 -3
2.220, 20, 0 10 0
2.175, 20, 3 5 -1

```
data_Cs2Hg3I8
_space_group_name_H-M_alt 'C 1 m 1'
_space_group_IT_number 8
_cell_length_a 7.4841
_cell_length_b 22.2077
_cell_length_c 7.8352
_cell_angle_alpha 90.00
_cell_angle_beta 108.84
_cell_angle_gamma 90.00
loop_
_space_group_symop_operation_xyz
'x,y,z'
'x,-y,z'
'x+1/2,y+1/2,z'
'x+1/2,-y+1/2,z'
loop_
_atom_site_label
_atom_site_fract_x
_atom_site_fract_y
_atom_site_fract_z
_atom_site_occupancy
Cs1 0.0000 0.1307 0.0000 1
Hg1 0.1405 0.3059 0.3709 1
Hg2 0.2697 0.5000 0.4518 1
I1 0.0349 0.4040 0.5502 1
I2 0.0503 0.1912 0.5100 1
I3 0.1170 0.0000 0.7178 1
I4 0.1814 0.5000 0.0833 1
I5 0.4957 0.1932 0.9981 1
```

=====

4.
Cs2InHgI6: simulated powder diffraction line list (Cu Kα X-rays), based on DFT lattice parameters and positions (PBE).
>>>

Simply download the zip and extract it someplace permanent (Program Files), then run the SyslogAgentConfig.exe utility. Install the service, enter the syslog server IP and port, enable forwarding of event logs if you like, and then enable forwarding of application logs. I created two application log entries – pcoip and Vmware View, as they are in different folders. Editing one allows you to choose the directory and parsing options:

I used the ‘Suggest Settings’ button which will parse the files and determine the appropriate options.

Once done, just start the service and watch syslog data flow to your syslog server!

Also super handy, the settings are stored in the registry which can be exported to other View servers to make installation and configuration a snap. Just export “HKEY_LOCAL_MACHINE\SOFTWARE\Datagram\SyslogAgent” and its child keys, delete the “LastRun” entry from the .reg file and then import the .reg file to the other hosts, then run SyslogAgentConfig.exe which will show the copied configuration. Install and start the service.

View Admin dashboard for vCenter Server 5.1 displays the message: VC service is not working properly

Regarding VMware KB: View Admin dashboard for vCenter Server 5.1 displays the message: VC service is not working properly, I encountered this when upgrading a vCenter 5.0 host to 5.1.

(Crystal structures, kept here for reference)
********
Diffraction record for Ce4Te3N2. The powder XRD pattern is computed, not measured: it uses a GGA-PBE-relaxed structure and a wavelength of 1.5418 Å.

The 10 most intense peaks (15 to 90 degrees two-theta), by angle:
Position (°2θ)  I (rel.)
28.70  58.8
28.85  100.0
30.95  19.9
34.40  67.6
36.56  21.3
38.56  11.3
43.82  22.8
47.08  22.7
53.23  20.9
58.09  16.4

Atomic structure:
a = 7.304 Å, b = 7.304 Å, c = 9.354 Å
α = 118.85°, β = 118.85°, γ = 32.86°
Element x y z (fractional)
1 Ce 0.125 0.125 0.415
2 Ce 0.310 0.310 0.872
3 Ce 0.690 0.690 0.128
4 Ce 0.875 0.875 0.585
5 Te 0.000 0.000 0.000
6 Te 0.390 0.390 0.283
7 Te 0.610 0.610 0.717
8 N 0.306 0.306 0.633
9 N 0.694 0.694 0.367


Simulated X-ray diffraction stick pattern
Compound: Bi2SbCl
Radiation: Cu Kα
Structure: a cell relaxed with GGA-PBE
No peak broadening, texture or thermal motion is included.

Top 6 peaks for 2θ from 10° to 90°, low angle first:
2theta	I_rel
18.4	100
29.7	76
31.6	85
32.1	66
33.4	83
40.8	55

Structural model:
Cell lengths 6.2987, 6.3000, 7.6995 Å; angles 77.46, 83.73, 60.13 degrees
Space group P1 (No. 1)
One atom of each set of equivalent atoms:
Bi 0.0000 0.0000 0.0000
Bi 0.0013 0.6432 0.4192
Bi 0.4607 0.7692 0.4983
Bi 0.4621 0.4144 0.9170
Sb 0.1929 0.2267 0.2087
Sb 0.2698 0.1861 0.7091
Cl 0.7197 0.7092 0.9694
Cl 0.7378 0.2015 0.4646


La3Nd5Ag2: theoretical powder XRD pattern (Cu Kα (weighted mean of Kα1 and Kα2)), based on the PBE geometry in Alexandria.

Main lines, low angle first (2θ = 10–90°):
2θ (°)  I/Imax
26.12  59
27.71  20
30.20  100
31.66  33
32.15  20
33.42  20
33.90  62
35.65  16
38.45  16
46.04  20
51.22  17
53.65  28

```
data_La3Nd5Ag2
_chemical_formula_sum 'La6 Nd10 Ag4'
_symmetry_space_group_name_H-M 'P 1'
_symmetry_Int_Tables_number 1
_cell_length_a 10.790
_cell_length_b 10.790
_cell_length_c 10.790
_cell_angle_alpha 113.42
_cell_angle_beta 78.63
_cell_angle_gamma 143.10
loop_
_symmetry_equiv_pos_as_xyz
'x,y,z'
loop_
_atom_site_label
_atom_site_type_symbol
_atom_site_fract_x
_atom_site_fract_y
_atom_site_fract_z
La1 La 0.167 0.220 0.387
La2 La 0.250 0.250 0.000
La3 La 0.333 0.720 0.053
La4 La 0.667 0.280 0.947
La5 La 0.750 0.750 0.000
La6 La 0.833 0.780 0.613
Nd1 Nd 0.055 0.750 0.305
Nd2 Nd 0.065 0.729 0.795
Nd3 Nd 0.250 0.750 0.500
Nd4 Nd 0.435 0.229 0.664
Nd5 Nd 0.445 0.750 0.695
Nd6 Nd 0.555 0.250 0.305
Nd7 Nd 0.565 0.771 0.336
Nd8 Nd 0.750 0.250 0.500
Nd9 Nd 0.935 0.271 0.205
Nd10 Nd 0.945 0.250 0.695
Ag1 Ag 0.162 0.938 0.100
Ag2 Ag 0.338 0.438 0.775
Ag3 Ag 0.662 0.562 0.225
Ag4 Ag 0.838 0.062 0.900
```


Entry 1:
Diffraction record for S2I2O11. The X-ray powder pattern is calculated, not measured: it uses a crystal structure in Alexandria, relaxed with PBE and Cu Kα, 1.54184 Å.
Intensities are scaled so that the largest is 100.

```
60
Lattice="18.619 0.000 0.000 0.000 4.730 0.000 0.000 0.000 10.745" Properties=species:S:1:pos:R:3 pbc="T T T"
S 1.803 0.216 0.000
S 2.846 0.195 8.075
S 6.464 2.561 2.702
S 7.506 2.582 5.372
S 11.113 2.149 0.000
********

When it was all said and done, I checked the View 5.1.3 console and found the vCenter objects in a red error state, saying the service was not working properly.

# Data records, kept here for reference
____________
GdVO2: simulated powder diffraction line list (λ = 1.5418 Å (Cu Kα)), based on the PBE+U geometry in Alexandria.
Lines closer than 0.1° are merged.

Principal peaks in the range 10° ≤ 2θ ≤ 90°, by angle:
d [Å], 2θ/deg, Rel. int.
6.365, 13.91, 36.7
3.182, 28.04, 42.1
2.839, 31.51, 41.8
2.749, 32.57, 100.0
2.460, 36.52, 50.0
1.835, 49.67, 36.6

Cell and atoms:
a = 3.3148 Å, b = 3.3148 Å, c = 19.0949 Å
α = 90.00°, β = 90.00°, γ = 120.00°
Space group R-3m (No. 166, hexagonal axes)
One atom of each set of equivalent atoms:
Gd 0.0000 0.0000 0.0000
V 0.0000 0.0000 0.5000
O 0.0000 0.0000 0.1156

----------

# HfMo
Theoretical XRD peak list, Cu Kα X-rays. Input: a cell relaxed with PBE.

Crystal structure
Unit cell a=7.1717 b=7.1717 c=7.1717 alpha=92.81 beta=92.81 gamma=154.44
Sites, in units of the cell vectors:
Hf (0.1570, 0.1570, 0.3141)
Hf (0.1570, 0.8430, 0.0000)
Hf (0.8430, 0.1570, 0.0000)
Hf (0.8430, 0.8430, 0.6859)
Mo (0.1560, 0.5000, 0.6560)
Mo (0.5000, 0.1560, 0.6560)
Mo (0.5000, 0.8440, 0.3440)
Mo (0.8440, 0.5000, 0.3440)

Most intense lines, 10° ≤ 2θ ≤ 90°, in order of rising 2θ:
- 28.5 deg, d 3.128, rel. 18
- 29.6 deg, d 3.021, rel. 17
- 36.3 deg, d 2.473, rel. 10
- 38.6 deg, d 2.331, rel. 51
- 39.4 deg, d 2.286, rel. 100
- 54.7 deg, d 1.679, rel. 12
- 55.8 deg, d 1.649, rel. 17
- 70.4 deg, d 1.337, rel. 32
- 72.0 deg, d 1.312, rel. 16
- 84.8 deg, d 1.143, rel. 10

----------

Structure and simulated X-ray powder pattern of Nd3TaO7 (the GGA-PBE geometry in the Materials Project; λ = 1.5418 Å (Cu Kα)).
Kinematic intensities with the Lorentz-polarization factor, no thermal factor.

The 10 most intense peaks (2θ from 10° to 90°), in order of rising 2θ:
Position (°2θ), d/Å, I_rel, hkl
28.25, 3.159, 98, 0 2 2
28.37, 3.146, 100, 2 2 0
32.81, 2.730, 70, 2 0 2
46.93, 1.936, 17, 0 0 4
47.07, 1.931, 57, 2 4 2
47.23, 1.924, 14, 4 0 0
55.77, 1.648, 42, 2 2 4
55.92, 1.644, 39, 4 2 2
78.31, 1.221, 15, 4 4 4
87.34, 1.116, 12, 2 4 6

Structure:
```
data_Nd3TaO7
_space_group_name_H-M_alt 'C m c m'
_space_group_IT_number 63
_space_group_name_Hall '-C 2c 2'
_cell_length_a 7.6979
_cell_length_b 10.9232
_cell_length_c 7.7436
_cell_angle_alpha 90.00
_cell_angle_beta 90.00
_cell_angle_gamma 90.00
loop_
_atom_site_label
_atom_site_fract_x
_atom_site_fract_y
_atom_site_fract_z
_atom_site_occupancy
Nd1 0.0000 0.0000 0.0000 1
Nd2 0.2327 0.2680 0.2500 1
Ta1 0.0000 0.5000 0.0000 1
O1 0.0000 0.1294 0.7500 1
O2 0.0000 0.1351 0.2500 1
O3 0.0000 0.4429 0.2500 1
O4 0.1913 0.3777 0.5295 1
```

---

Structure and simulated X-ray powder pattern of Nd2Ta2O9 (the GGA-PBE geometry in the Materials Project; λ = 1.5418 Å (Cu Kα)).
Kinematic intensities with the Lorentz-polarization factor, no thermal factor.

The 10 most intense peaks (2θ from 10° to 90°), in order of rising 2θ:
Position (°2θ), d/Å, I_rel, hkl
14.25, 6.216, 75, 1 0 0
23.35, 3.809, 82, 1 0 -4
23.66, 3.761, 51, 0 1 1
28.94, 3.085, 65, 1 1 1
29.52, 3.026, 100, 0 1 3
29.98, 2.980, 57, 2 0 -4
33.14, 2.703, 46, 1 0 4
____________

I edited the vCenter server in View and it gave me the incorrect username/password. Since that is one of the issues in the KB, I followed the steps to move the View domain to be above the System domain in SSO.

Seems like an obvious thing to do for a new SSO installation – wish the SSO installer would have done this.

Once moved, the vCenter objects turned green and provisioning was able to run.

Determining linked-clone space usage

I wanted to understand how VMware View linked-clone virtual machines consume space. Thankfully, Andre Leibovici has a great article “How to read Linked Clone Storage Provisioning metrics in vCenter“, describing these three storage metrics that are visible from a VM’s Summary tab in vSphere. (Need a review of how linked-clones work? Check out Andre’s “VMware View 4.5 Linked Cloning explained“)

These three storage metrics for every VM are described as follows:

  • Provisioned Storage: amount of total storage provisioned to a VM, since thin-provisioning is in use. This only includes files in the VM directory and is the sum of the “Provisioned size” column in the VM’s folder on the datastore. These files include the main VM disk which actually points to the replica, and then also the snapshot/delta disk. So easily, a linked clone has a provisioned size that is double that of the master VM (and therefore the replica). But it’s slightly misleading because the replica will not grow, only the VM’s snapshot/delta file will grow as the VM is used, until the next recompose.
  • Not-shared Storage: the total storage actually in use by the linked-clone, which only includes files in the VM directory. This would be the sum of the “Size” column in the VM’s folder on the datastore, and is data that the linked-clone has written after recompose or refresh: changes recorded in the delta (snapshot) disk.
  • Used Storage: the sum of storage used to support the existence of the virtual machine – includes the replica disk as well as changes that the VM has written since recompose or refresh.

With these key pieces of information, we can see that the most important metric is “Not-shared Storage”. However, “Used Storage” is useful to compare space savings. If the linked-clone VM was a full-blown normal VM, it would consume the amount indicated in “Used Storage”. But since it is using linked-clone technology, it only actually uses the amount indicated in “Not-shared Storage”, because the main bulk of the VM’s data (operating system, applications baked in to the image) is actually stored in the replica disk which is also used by all the other linked-clones.

If you want to compare across the entire environment and generate a space savings calculation, a bit of powershell can accomplish this:

Function GetUsage {
	$VMs = get-datastore $datastore | get-vm | get-view
	$VMs | foreach-object {
		$VMName = $_ | select -expandproperty name
		$VMUnshared = $_ | select -expandproperty storage | select -expandproperty perdatastoreusage | select -expandproperty Unshared
		$VMUnsharedMB = [math]::round($VMUnshared/1MB,2)
		$VMUsed = $_ | select -expandproperty storage | select -expandproperty perdatastoreusage | select -expandproperty Committed
		$VMUsedMB = [math]::round($VMUsed/1MB,2)
		$UsageObj = New-Object System.Object
		$UsageObj | add-member -type noteproperty -name Name -value $VMName
		$UsageObj | add-member -type noteproperty -name UsageMB -value $VMUnsharedMB
		$UsageObj | add-member -type noteproperty -name FullUsageMB -value $VMUsedMB
	} | sort -property Name | export-csv c:\temp\usage-$datastore.csv -notype

GetUsage "Linked_Clones_01"
GetUsage "Linked_Clones_02"

To run, save it to a file and change the datastores on the “GetUsage” lines (add or remove datastores as needed) and change the CSV path as necessary (default: c:\temp). Connect to a vCenter server (connect-viserver) and run the script. The resulting CSV file will have three columns: Name of the VM, UsageMB (“Not-shared storage”) and FullUsageMB (“Used Storage”).

By adding up the UsageMB column and comparing it to the sum of the FullUsageMB column, one can easily see the difference in space usage by using linked-clone technology versus full-blown virtual machines. To calculate the space savings percentage, use the formula (1-(Usage/Full)).

A customer with over 3,000 linked-clone desktops (using a master VM image of 30GB) is only using 6.55 TB on disk. If these were full-blown virtual machines, the customer would consume over 91TB. By using linked-clones, the customer is realizing a space savings of 93%. Pretty cool stuff.